The reader should set down the rows further below from the first line to the one with "-5.574 1.230" word for word.
~~~
ORCA calculation (wB97M-V/def2-TZVPD) on a molecular structure, C44H66ClN17O8S in a non-equilibrium geometry.

Properties
Kohn-Sham gap	8.91	eV
charge	0
multiplicity	1

```
137
Properties=species:S:1:pos:R:3:forces:R:3:lowdin_charge:R:1
C 2.739 -1.916 -0.376 1.05 0.62 0.12 -0.156
C 2.524 -1.261 -1.863 0.68 -0.44 -0.52 -0.268
C 1.013 -1.410 -2.480 0.43 0.57 0.22 -0.162
C -0.191 -0.920 -1.448 0.61 -3.05 -0.35 -0.173
O -0.015 0.441 -0.923 -3.92 0.82 -1.61 -0.125
C -1.278 1.186 -0.836 1.69 0.69 3.47 -0.653
Cl -0.841 2.457 0.494 -0.10 -0.92 -0.92 0.678
O -1.720 2.044 -1.946 -2.17 -2.05 1.57 -0.239
S -3.404 2.355 -1.650 -3.51 5.75 -3.80 0.880
O -3.599 3.898 -1.582 1.52 -5.98 1.08 -0.310
O -4.291 1.920 -2.854 3.70 -0.44 4.71 -0.324
O -3.628 1.568 -0.148 1.72 0.56 -2.87 -0.207
C -2.626 0.482 -0.228 0.31 -2.12 -2.20 -0.283
C -2.547 -0.439 1.125 -1.23 0.24 -0.86 -0.002
C -3.248 -1.928 0.872 2.65 -5.40 4.05 -0.222
O -2.880 -2.931 1.679 -2.57 6.67 -5.06 0.017
O -4.230 -2.225 -0.186 10.08 -2.11 -4.64 -0.200
C -3.558 -2.869 -1.358 5.46 -3.27 -0.31 -0.246
C -4.275 -2.645 -2.846 0.58 -0.22 0.85 -0.028
O -2.438 -3.606 -1.265 -7.02 4.73 -0.43 -0.029
H 1.819 -2.496 0.054 1.70 1.19 -0.83 0.063
H 3.670 -2.657 -0.424 -2.08 1.50 0.14 0.076
H 3.089 -1.032 0.341 -1.10 -2.16 -1.31 0.048
H 2.921 -0.140 -1.903 -1.12 -2.33 0.27 0.116
H 3.246 -1.863 -2.599 -2.04 1.64 1.97 0.028
H 0.954 -0.773 -3.468 0.04 -1.25 1.89 0.114
H 0.871 -2.555 -2.768 -0.09 2.47 0.78 0.132
H -1.198 -1.116 -2.011 1.73 0.70 1.14 0.123
H -0.141 -1.649 -0.505 -0.32 1.57 -2.04 0.134
H -3.017 -0.132 -1.175 0.81 0.62 2.21 0.148
H -1.447 -0.629 1.488 -2.37 0.45 -0.85 0.126
H -3.173 0.142 1.959 1.51 -1.47 -1.78 0.147
H -3.817 -3.490 -3.539 -1.10 1.82 1.63 0.102
H -3.966 -1.591 -3.311 -0.81 -2.28 1.30 0.086
H -5.437 -2.736 -2.734 2.34 0.31 -0.33 0.082
C -0.728 -1.419 5.020 -0.26 0.99 -0.61 -0.071
C -1.041 -0.194 4.177 -1.60 6.60 -4.44 -0.171
N -1.301 0.823 3.477 2.10 -8.01 5.81 0.092
H -1.424 -2.226 4.778 0.03 0.20 -0.09 0.077
H 0.293 -1.757 4.821 -0.19 0.21 -0.11 0.024
H -0.821 -1.175 6.082 -0.05 0.07 -0.17 0.056
C -5.574 1.230 -6.020 -0.16 -1.13 0.31 -0.065
C -5.755 -0.229 -5.631 -1.01 -7.84 2.10 -0.171
N -5.905 -1.439 -5.309 1.18 9.61 -2.60 0.097
H -6.493 1.612 -6.473 0.04 -0.25 0.12 0.063
H -5.340 1.825 -5.133 -0.03 -0.25 -0.02 0.055
H -4.756 1.325 -6.739 -0.10 -0.18 0.13 0.078
C 5.248 0.244 3.022 -0.04 -0.22 -1.18 -0.102
C 5.417 -0.079 1.546 1.00 -1.71 -7.96 -0.210
N 5.557 -0.347 0.322 -0.97 2.17 9.75 0.107
H 4.190 0.200 3.294 0.09 -0.06 -0.21 0.052
H 5.801 -0.479 3.628 0.02 0.14 -0.22 0.061
H 5.628 1.248 3.230 0.04 -0.23 -0.16 0.065
C 9.027 1.351 0.400 -0.28 -0.36 1.17 -0.079
C 8.682 0.969 1.830 -1.89 -2.17 7.62 -0.196
N 8.396 0.651 3.017 2.32 2.57 -9.35 0.098
H 9.088 0.454 -0.221 -0.09 0.05 0.24 0.080
H 8.257 2.014 -0.005 0.13 -0.13 0.20 0.054
H 9.991 1.868 0.375 -0.21 -0.02 0.11 0.065
C 6.938 5.011 -1.973 1.10 -0.25 0.63 -0.081
C 8.282 4.676 -1.348 7.35 -1.77 3.36 -0.189
N 9.398 4.398 -0.830 -8.90 2.12 -4.17 0.092
H 6.174 4.318 -1.609 0.20 0.03 -0.07 0.049
H 6.647 6.031 -1.708 0.19 -0.14 -0.02 0.061
H 7.002 4.930 -3.062 0.10 -0.02 0.23 0.068
C 4.400 4.366 -5.417 0.17 -0.40 1.02 -0.102
C 4.420 3.603 -4.102 0.00 -4.12 7.04 -0.220
N 4.437 2.970 -3.012 -0.08 5.03 -8.67 0.093
H 4.714 3.711 -6.233 -0.03 0.02 0.21 0.072
H 3.389 4.730 -5.621 0.33 -0.23 0.20 0.014
H 5.081 5.220 -5.363 0.03 -0.20 0.11 0.071
C 4.181 -3.748 3.701 -0.88 0.87 -0.11 -0.063
C 3.109 -2.678 3.576 -5.86 5.82 -0.70 -0.172
N 2.220 -1.790 3.473 7.18 -7.10 0.84 0.116
H 3.916 -4.615 3.089 -0.05 0.23 0.05 0.080
H 5.143 -3.354 3.362 -0.22 0.04 0.00 0.074
H 4.273 -4.064 4.744 -0.11 0.14 -0.15 0.078
C -1.206 3.905 -4.466 1.19 0.00 -0.33 -0.055
C 0.263 3.923 -4.856 8.02 0.10 -2.13 -0.141
N 1.482 3.939 -5.180 -10.21 -0.22 2.60 0.112
H -1.375 3.158 -3.685 0.25 0.25 -0.30 0.039
H -1.504 4.887 -4.090 0.16 -0.14 -0.05 0.088
H -1.819 3.655 -5.336 0.22 0.05 0.06 0.081
C 5.271 -0.764 -5.992 -0.64 -0.69 0.82 -0.068
~~~
ORCA calculation (wB97M-V/def2-TZVPD) on a molecular structure, C44H66ClN17O8S in a non-equilibrium geometry.

Properties
Kohn-Sham gap	8.91	eV
charge	0
multiplicity	1

```
137
Properties=species:S:1:pos:R:3:forces:R:3:lowdin_charge:R:1
C 2.739 -1.916 -0.376 1.05 0.62 0.12 -0.156
C 2.524 -1.261 -1.863 0.68 -0.44 -0.52 -0.268
C 1.013 -1.410 -2.480 0.43 0.57 0.22 -0.162
C -0.191 -0.920 -1.448 0.61 -3.05 -0.35 -0.173
O -0.015 0.441 -0.923 -3.92 0.82 -1.61 -0.125
C -1.278 1.186 -0.836 1.69 0.69 3.47 -0.653
Cl -0.841 2.457 0.494 -0.10 -0.92 -0.92 0.678
O -1.720 2.044 -1.946 -2.17 -2.05 1.57 -0.239
S -3.404 2.355 -1.650 -3.51 5.75 -3.80 0.880
O -3.599 3.898 -1.582 1.52 -5.98 1.08 -0.310
O -4.291 1.920 -2.854 3.70 -0.44 4.71 -0.324
O -3.628 1.568 -0.148 1.72 0.56 -2.87 -0.207
C -2.626 0.482 -0.228 0.31 -2.12 -2.20 -0.283
C -2.547 -0.439 1.125 -1.23 0.24 -0.86 -0.002
C -3.248 -1.928 0.872 2.65 -5.40 4.05 -0.222
O -2.880 -2.931 1.679 -2.57 6.67 -5.06 0.017
O -4.230 -2.225 -0.186 10.08 -2.11 -4.64 -0.200
C -3.558 -2.869 -1.358 5.46 -3.27 -0.31 -0.246
C -4.275 -2.645 -2.846 0.58 -0.22 0.85 -0.028
O -2.438 -3.606 -1.265 -7.02 4.73 -0.43 -0.029
H 1.819 -2.496 0.054 1.70 1.19 -0.83 0.063
H 3.670 -2.657 -0.424 -2.08 1.50 0.14 0.076
H 3.089 -1.032 0.341 -1.10 -2.16 -1.31 0.048
H 2.921 -0.140 -1.903 -1.12 -2.33 0.27 0.116
H 3.246 -1.863 -2.599 -2.04 1.64 1.97 0.028
H 0.954 -0.773 -3.468 0.04 -1.25 1.89 0.114
H 0.871 -2.555 -2.768 -0.09 2.47 0.78 0.132
H -1.198 -1.116 -2.011 1.73 0.70 1.14 0.123
H -0.141 -1.649 -0.505 -0.32 1.57 -2.04 0.134
H -3.017 -0.132 -1.175 0.81 0.62 2.21 0.148
H -1.447 -0.629 1.488 -2.37 0.45 -0.85 0.126
H -3.173 0.142 1.959 1.51 -1.47 -1.78 0.147
H -3.817 -3.490 -3.539 -1.10 1.82 1.63 0.102
H -3.966 -1.591 -3.311 -0.81 -2.28 1.30 0.086
H -5.437 -2.736 -2.734 2.34 0.31 -0.33 0.082
C -0.728 -1.419 5.020 -0.26 0.99 -0.61 -0.071
C -1.041 -0.194 4.177 -1.60 6.60 -4.44 -0.171
N -1.301 0.823 3.477 2.10 -8.01 5.81 0.092
H -1.424 -2.226 4.778 0.03 0.20 -0.09 0.077
H 0.293 -1.757 4.821 -0.19 0.21 -0.11 0.024
H -0.821 -1.175 6.082 -0.05 0.07 -0.17 0.056
C -5.574 1.230 -6.020 -0.16 -1.13 0.31 -0.065